Listing:
'''
No. 1
VASP calculation (r²SCAN) on a geometry-optimized LiBeAs structure.

Formation enthalpy at 0 K ... -1.77 eV per formula unit
M_tot ... 0.00 μB per atom
Total energy ... -46.4 eV/cell

Cell lengths 3.7366, 3.7366, 6.1651 Å; angles 90.00, 90.00, 90.00 degrees
With the nearest neighbours (Å) after each atom.
Space group P4/nmm (No. 129, origin choice 2)
Unique sites:
1 Li 0.2500 0.2500 0.1531 (multiplicity 2)  5 As 2.65-2.75, 4 Be 2.84
2 Be 0.2500 0.7500 0.5000 (multiplicity 2)  4 As 2.32
3 As 0.2500 0.2500 0.7235 (multiplicity 2)  4 Be 2.32

***

No. 2
VASP calculation (r²SCAN) on a geometry-optimized Tb5Bi3 structure.

Formation enthalpy at 0 K ... -6.75 eV per formula unit
M_tot ... 0.06 μB per atom
Total energy ... -1353.5 eV/cell

Cell lengths 12.1202, 9.4920, 8.3031 Å; angles 90.00, 90.00, 90.00 degrees
With the nearest neighbours (Å) after each atom.
Space group Pnma (No. 62)
Unique sites:
1 Tb 0.0046 0.2500 0.0218 (multiplicity 4)  5 Bi 3.17-3.24, 2 Tb 3.37
2 Tb 0.0654 0.0616 0.6896 (multiplicity 8)  4 Bi 3.09-3.44, 1 Tb 3.37
3 Tb 0.2092 0.7500 0.3413 (multiplicity 4)  5 Bi 3.07-3.37
4 Tb 0.2263 0.2500 0.3299 (multiplicity 4)  5 Bi 3.13-3.36
5 Bi 0.0275 0.7500 0.5992 (multiplicity 4)  7 Tb 3.07-3.20
6 Bi 0.1747 0.5077 0.0632 (multiplicity 8)  9 Tb 3.22-3.60

=====

Computed, not measured: an optimized crystal structure of LiFe4B4O12 at the PBE+U level of DFT.

a b c (Å): 5.2321 9.1221 10.1442
angles (deg): 89.79 89.69 88.99
With the nearest neighbours (Å) after each atom.
Positions (direct):
Li (0.1850, 0.1683, 0.1526)  4 O 2.05-2.14
Li (0.6527, 0.6761, 0.6524)  3 O 1.91-2.07
Fe (0.1462, 0.8504, 0.6266)  4 O 1.96-2.15
Fe (0.1698, 0.5136, 0.1285)  5 O 1.94-2.05
Fe (0.3267, 0.0002, 0.8782)  4 O 1.89-2.03
Fe (0.3312, 0.6679, 0.3768)  4 O 1.87-2.09
Fe (0.6701, 0.3304, 0.6288)  5 O 1.88-2.08
Fe (0.6874, 0.9795, 0.1272)  2 O 1.92-2.08
Fe (0.8238, 0.1579, 0.3784)  5 O 1.89-2.08
Fe (0.8362, 0.4913, 0.8795)  4 O 1.88-2.02
B (0.1721, 0.5031, 0.6267)  3 O 1.35-1.43
B (0.1728, 0.8274, 0.1264)  3 O 1.33-1.45
B (0.3350, 0.9964, 0.3699)  3 O 1.37-1.39
B (0.3290, 0.6673, 0.8739)  3 O 1.37-1.41
B (0.6424, 0.9994, 0.6295)  3 O 1.35-1.42
B (0.6706, 0.3318, 0.1303)  3 O 1.37-1.41
B (0.8381, 0.4989, 0.3812)  3 O 1.34-1.41
B (0.8287, 0.1669, 0.8812)  3 O 1.35-1.42
O (0.0843, 0.5112, 0.3256)  1 B 1.41
O (0.0852, 0.1552, 0.8936)  1 B 1.35
O (0.2215, 0.7999, 0.8395)  1 B 1.37
O (0.2433, 0.8667, 0.4211)  1 B 1.38
O (0.1743, 0.1142, 0.3488)  1 B 1.37
O (0.1741, 0.5594, 0.9320)  1 B 1.41
O (0.3209, 0.3810, 0.6352)  1 B 1.35
O (0.3014, 0.9543, 0.0862)  1 B 1.41
O (0.2691, 0.6344, 0.5781)  1 B 1.40
O (0.3238, 0.7031, 0.1721)  1 B 1.45
O (0.4098, 0.3487, 0.1362)  1 B 1.37
O (0.3973, 0.0123, 0.6814)  1 B 1.39
O (0.5915, 0.0049, 0.3366)  1 B 1.39
O (0.5798, 0.6343, 0.8464)  1 B 1.37
O (0.7214, 0.2971, 0.8253)  1 B 1.42
O (0.7671, 0.3631, 0.4341)  1 B 1.40
O (0.6783, 0.6158, 0.3870)  1 B 1.34
O (0.6656, 0.0609, 0.9260)  1 B 1.38
O (0.8237, 0.4414, 0.0733)  1 B 1.41
O (0.7731, 0.8702, 0.6270)  1 B 1.35
O (0.7542, 0.1284, 0.5771)  1 B 1.42
O (0.7990, 0.2082, 0.1785)  1 B 1.39
O (0.9199, 0.8138, 0.1247)  1 B 1.33
O (0.9117, 0.5030, 0.6701)  1 B 1.43

Output
**Energy relative to the lowest polymorph listed for this composition**: 9 meV per atom
**Space group**: P1, No. 1

Computed, not measured: an optimized crystal structure of CoTeO4 at the PBE+U level of DFT.

a b c (Å): 3.0915 6.0419 8.7867
angles (deg): 93.22 90.01 90.01
With the nearest neighbours (Å) after each atom.
Positions (direct):
Co (0.5000, 0.2500, 0.2500)  6 O 2.07-2.26
Co (0.5000, 0.7500, 0.7500)  6 O 2.07-2.26
Te (0.0000, 0.0000, 0.5000)  6 O 1.91-2.04
Te (0.0000, 0.5000, 0.0000)  6 O 1.91-2.04
O (0.0001, 0.4683, 0.2150)  1 Te 1.91, 2 Co 2.07
O (0.0001, 0.9683, 0.7150)  1 Te 1.91, 2 Co 2.07
O (0.9999, 0.0317, 0.2850)  1 Te 1.91, 2 Co 2.07
O (0.9999, 0.5317, 0.7850)  1 Te 1.91, 2 Co 2.07
O (0.5001, 0.2198, 0.5055)  2 Te 2.04, 1 Co 2.26
O (0.5001, 0.7198, 0.0055)  2 Te 2.04, 1 Co 2.26
'''
Job:
Next, echo all of the block above unchanged.
Completed:
No. 1
VASP calculation (r²SCAN) on a geometry-optimized LiBeAs structure.

Formation enthalpy at 0 K ... -1.77 eV per formula unit
M_tot ... 0.00 μB per atom
Total energy ... -46.4 eV/cell

Cell lengths 3.7366, 3.7366, 6.1651 Å; angles 90.00, 90.00, 90.00 degrees
With the nearest neighbours (Å) after each atom.
Space group P4/nmm (No. 129, origin choice 2)
Unique sites:
1 Li 0.2500 0.2500 0.1531 (multiplicity 2)  5 As 2.65-2.75, 4 Be 2.84
2 Be 0.2500 0.7500 0.5000 (multiplicity 2)  4 As 2.32
3 As 0.2500 0.2500 0.7235 (multiplicity 2)  4 Be 2.32

***

No. 2
VASP calculation (r²SCAN) on a geometry-optimized Tb5Bi3 structure.

Formation enthalpy at 0 K ... -6.75 eV per formula unit
M_tot ... 0.06 μB per atom
Total energy ... -1353.5 eV/cell

Cell lengths 12.1202, 9.4920, 8.3031 Å; angles 90.00, 90.00, 90.00 degrees
With the nearest neighbours (Å) after each atom.
Space group Pnma (No. 62)
Unique sites:
1 Tb 0.0046 0.2500 0.0218 (multiplicity 4)  5 Bi 3.17-3.24, 2 Tb 3.37
2 Tb 0.0654 0.0616 0.6896 (multiplicity 8)  4 Bi 3.09-3.44, 1 Tb 3.37
3 Tb 0.2092 0.7500 0.3413 (multiplicity 4)  5 Bi 3.07-3.37
4 Tb 0.2263 0.2500 0.3299 (multiplicity 4)  5 Bi 3.13-3.36
5 Bi 0.0275 0.7500 0.5992 (multiplicity 4)  7 Tb 3.07-3.20
6 Bi 0.1747 0.5077 0.0632 (multiplicity 8)  9 Tb 3.22-3.60

=====

Computed, not measured: an optimized crystal structure of LiFe4B4O12 at the PBE+U level of DFT.

a b c (Å): 5.2321 9.1221 10.1442
angles (deg): 89.79 89.69 88.99
With the nearest neighbours (Å) after each atom.
Positions (direct):
Li (0.1850, 0.1683, 0.1526)  4 O 2.05-2.14
Li (0.6527, 0.6761, 0.6524)  3 O 1.91-2.07
Fe (0.1462, 0.8504, 0.6266)  4 O 1.96-2.15
Fe (0.1698, 0.5136, 0.1285)  5 O 1.94-2.05
Fe (0.3267, 0.0002, 0.8782)  4 O 1.89-2.03
Fe (0.3312, 0.6679, 0.3768)  4 O 1.87-2.09
Fe (0.6701, 0.3304, 0.6288)  5 O 1.88-2.08
Fe (0.6874, 0.9795, 0.1272)  2 O 1.92-2.08
Fe (0.8238, 0.1579, 0.3784)  5 O 1.89-2.08
Fe (0.8362, 0.4913, 0.8795)  4 O 1.88-2.02
B (0.1721, 0.5031, 0.6267)  3 O 1.35-1.43
B (0.1728, 0.8274, 0.1264)  3 O 1.33-1.45
B (0.3350, 0.9964, 0.3699)  3 O 1.37-1.39
B (0.3290, 0.6673, 0.8739)  3 O 1.37-1.41
B (0.6424, 0.9994, 0.6295)  3 O 1.35-1.42
B (0.6706, 0.3318, 0.1303)  3 O 1.37-1.41
B (0.8381, 0.4989, 0.3812)  3 O 1.34-1.41
B (0.8287, 0.1669, 0.8812)  3 O 1.35-1.42
O (0.0843, 0.5112, 0.3256)  1 B 1.41
O (0.0852, 0.1552, 0.8936)  1 B 1.35
O (0.2215, 0.7999, 0.8395)  1 B 1.37
O (0.2433, 0.8667, 0.4211)  1 B 1.38
O (0.1743, 0.1142, 0.3488)  1 B 1.37
O (0.1741, 0.5594, 0.9320)  1 B 1.41
O (0.3209, 0.3810, 0.6352)  1 B 1.35
O (0.3014, 0.9543, 0.0862)  1 B 1.41
O (0.2691, 0.6344, 0.5781)  1 B 1.40
O (0.3238, 0.7031, 0.1721)  1 B 1.45
O (0.4098, 0.3487, 0.1362)  1 B 1.37
O (0.3973, 0.0123, 0.6814)  1 B 1.39
O (0.5915, 0.0049, 0.3366)  1 B 1.39
O (0.5798, 0.6343, 0.8464)  1 B 1.37
O (0.7214, 0.2971, 0.8253)  1 B 1.42
O (0.7671, 0.3631, 0.4341)  1 B 1.40
O (0.6783, 0.6158, 0.3870)  1 B 1.34
O (0.6656, 0.0609, 0.9260)  1 B 1.38
O (0.8237, 0.4414, 0.0733)  1 B 1.41
O (0.7731, 0.8702, 0.6270)  1 B 1.35
O (0.7542, 0.1284, 0.5771)  1 B 1.42
O (0.7990, 0.2082, 0.1785)  1 B 1.39
O (0.9199, 0.8138, 0.1247)  1 B 1.33
O (0.9117, 0.5030, 0.6701)  1 B 1.43

Output
**Energy relative to the lowest polymorph listed for this composition**: 9 meV per atom
**Space group**: P1, No. 1

Computed, not measured: an optimized crystal structure of CoTeO4 at the PBE+U level of DFT.

a b c (Å): 3.0915 6.0419 8.7867
angles (deg): 93.22 90.01 90.01
With the nearest neighbours (Å) after each atom.
Positions (direct):
Co (0.5000, 0.2500, 0.2500)  6 O 2.07-2.26
Co (0.5000, 0.7500, 0.7500)  6 O 2.07-2.26
Te (0.0000, 0.0000, 0.5000)  6 O 1.91-2.04
Te (0.0000, 0.5000, 0.0000)  6 O 1.91-2.04
O (0.0001, 0.4683, 0.2150)  1 Te 1.91, 2 Co 2.07
O (0.0001, 0.9683, 0.7150)  1 Te 1.91, 2 Co 2.07
O (0.9999, 0.0317, 0.2850)  1 Te 1.91, 2 Co 2.07
O (0.9999, 0.5317, 0.7850)  1 Te 1.91, 2 Co 2.07
O (0.5001, 0.2198, 0.5055)  2 Te 2.04, 1 Co 2.26
O (0.5001, 0.7198, 0.0055)  2 Te 2.04, 1 Co 2.26